Wanted:
Now echo the rows further below word for word.

Input:
____________
65
Properties=species:S:1:pos:R:3:forces:R:3:mulliken_charge:R:1 method="wB97M-V/def2-TZVPD" e_tot_ev=-41609.4781 charge=0 smiles="CCOC(=O)N1CCC(NC(=O)[C@H]2CC[C@H](Cn3c(=O)[nH]c4ccccc4c3=O)CC2)CC1" gap_ev=9.2 fmax_ev_per_a=0.685
C -0.442458 -2.912215 3.744753 0.1 0.4 0.1 -0.7849
C 0.218545 -1.754714 4.478926 0.3 -0.6 0.0 -0.3713
O -0.336768 -0.518211 4.033948 -0.1 0.3 -0.1 -0.3644
C 0.441555 0.272802 3.282926 -0.1 0.2 0.1 0.6917
O 1.630605 0.073449 3.078506 0.4 -0.2 0.1 -0.8620
N -0.228279 1.345165 2.825075 -0.1 0.0 0.1 0.3174
C -1.682529 1.353022 2.835045 -0.4 -0.1 0.2 -0.4278
C -2.220237 2.620876 2.181948 0.1 -0.1 -0.1 -1.4106
C -1.717446 2.797818 0.744754 0.0 0.2 0.0 -0.4717
N -2.540210 2.044430 -0.180116 -0.1 -0.2 0.3 0.1649
C -2.716575 2.456055 -1.456877 -0.4 -0.3 -0.1 -0.0437
O -2.385661 3.567854 -1.820088 0.2 0.3 -0.2 -0.7130
C -3.355999 1.488459 -2.454146 0.0 0.2 -0.2 0.6707
C -4.045968 0.223848 -1.917301 0.1 -0.1 -0.1 -1.3240
C -3.176682 -1.033133 -2.064373 0.1 0.0 0.2 -1.3006
C -1.714287 -0.715555 -1.766751 0.0 -0.3 -0.1 3.4460
C -0.865693 -1.987390 -1.678835 -0.5 0.1 0.1 -2.6898
N 0.486390 -1.681004 -1.224766 -0.1 -0.1 -0.1 0.5277
C 0.616678 -1.296799 0.097606 0.3 0.1 0.1 -0.0196
O -0.341861 -1.239994 0.847405 -0.3 0.0 0.2 -0.6658
N 1.868289 -0.975710 0.519098 0.0 0.1 0.3 0.4169
C 2.983706 -1.020968 -0.276219 0.2 -0.2 -0.6 0.2745
C 4.238449 -0.673704 0.224139 0.0 0.0 0.0 -0.7384
C 5.341005 -0.737951 -0.600616 -0.1 0.0 0.0 -0.3928
C 5.215180 -1.143641 -1.926951 0.1 0.0 -0.1 -0.7155
C 3.978104 -1.483066 -2.428098 -0.1 0.0 0.1 -0.5236
C 2.849846 -1.425160 -1.608731 0.4 0.1 0.2 0.2393
C 1.530919 -1.774926 -2.138882 0.1 0.0 -0.1 1.0302
O 1.329266 -2.123837 -3.283363 0.1 0.0 -0.1 -0.6967
C -1.159220 0.267407 -2.809858 -0.1 0.0 0.0 -0.6155
C -2.265706 1.099125 -3.464520 0.1 0.2 0.1 -1.6356
C -0.239759 2.365798 0.621330 0.1 0.2 0.2 0.6959
C 0.438394 2.316980 1.984100 0.3 0.1 -0.3 -1.5281
H -1.494222 -2.975123 4.011328 -0.1 -0.1 0.0 0.2866
H -0.369163 -2.748615 2.672442 0.0 -0.1 -0.1 0.0141
H 0.048916 -3.845477 4.004761 0.0 -0.1 0.1 0.3879
H 0.031144 -1.810420 5.555299 0.1 0.1 -0.1 0.3689
H 1.298291 -1.741612 4.298419 -0.2 0.0 0.1 0.3079
H -2.037453 0.459190 2.308228 -0.1 0.0 0.0 0.2537
H -2.031516 1.287609 3.870116 -0.1 0.0 -0.2 0.4920
H -1.919997 3.485123 2.774920 0.0 0.0 0.0 0.4177
H -3.310466 2.585670 2.179606 0.0 0.1 0.0 0.4308
H -1.824083 3.845375 0.445030 0.0 -0.2 0.1 0.4043
H -2.718838 1.084511 0.067705 -0.1 0.1 -0.1 0.2691
H -4.092426 2.100303 -2.986269 0.1 0.0 0.1 0.6363
H -4.337979 0.359179 -0.873936 -0.1 0.0 0.0 0.3416
H -4.970785 0.067766 -2.476327 0.0 0.1 0.1 0.4103
H -3.256852 -1.429281 -3.077696 0.0 -0.1 -0.1 0.3236
H -3.538347 -1.805032 -1.382052 0.0 -0.1 0.0 0.4562
H -1.668884 -0.262635 -0.774604 0.0 -0.1 -0.1 -1.2245
H -1.313383 -2.679297 -0.959715 0.1 0.0 -0.1 0.2314
H -0.773709 -2.471740 -2.652027 0.0 0.1 0.1 0.5461
H 1.949363 -0.649487 1.490558 -0.2 0.0 -0.2 0.0948
H 4.323651 -0.360431 1.253543 0.0 0.0 0.1 0.5123
H 6.312561 -0.470587 -0.212906 0.1 0.0 0.1 0.4152
H 6.087727 -1.189725 -2.559780 0.1 0.0 -0.1 0.3996
H 3.846081 -1.798261 -3.451620 0.0 0.0 -0.1 0.4983
H -0.437510 0.936806 -2.335157 0.1 0.0 0.0 0.2229
H -0.626953 -0.283769 -3.587469 0.1 0.0 0.0 0.4489
H -1.836462 2.005649 -3.892302 -0.1 0.0 -0.1 0.5657
H -2.730003 0.535065 -4.274694 0.0 0.0 0.0 0.4490
H 0.296376 3.039241 -0.046233 0.0 0.0 -0.1 0.4801
H -0.199182 1.363365 0.190797 0.0 0.0 0.0 -0.5283
H 1.481543 2.009640 1.889555 -0.2 0.1 0.0 0.5775
H 0.409988 3.300126 2.465495 0.1 0.0 0.0 0.3304

* * * * *

(1)
DFT (wB97M-V/def2-TZVPD) results for a molecular structure, C15H37IrN5S2Si2 at a distorted geometry.

XYZ file:
```
62
Properties=species:S:1:pos:R:3:nbo_charge:R:1
Ir -0.1313 0.6511 0.4078 0.780
N 2.2120 0.0696 0.1769 -0.804
C 2.8416 -0.7794 1.2011 -0.234
C 2.8687 -0.1040 2.5707 -0.422
C 1.5156 0.0167 3.2694 -0.230
N 0.6329 0.9955 2.6210 -0.762
H 2.3123 -0.3714 -0.7349 0.411
H 2.7135 0.9558 0.1337 0.392
H 3.8801 -1.0135 0.9229 0.214
____________

Written answer:
65
Properties=species:S:1:pos:R:3:forces:R:3:mulliken_charge:R:1 method="wB97M-V/def2-TZVPD" e_tot_ev=-41609.4781 charge=0 smiles="CCOC(=O)N1CCC(NC(=O)[C@H]2CC[C@H](Cn3c(=O)[nH]c4ccccc4c3=O)CC2)CC1" gap_ev=9.2 fmax_ev_per_a=0.685
C -0.442458 -2.912215 3.744753 0.1 0.4 0.1 -0.7849
C 0.218545 -1.754714 4.478926 0.3 -0.6 0.0 -0.3713
O -0.336768 -0.518211 4.033948 -0.1 0.3 -0.1 -0.3644
C 0.441555 0.272802 3.282926 -0.1 0.2 0.1 0.6917
O 1.630605 0.073449 3.078506 0.4 -0.2 0.1 -0.8620
N -0.228279 1.345165 2.825075 -0.1 0.0 0.1 0.3174
C -1.682529 1.353022 2.835045 -0.4 -0.1 0.2 -0.4278
C -2.220237 2.620876 2.181948 0.1 -0.1 -0.1 -1.4106
C -1.717446 2.797818 0.744754 0.0 0.2 0.0 -0.4717
N -2.540210 2.044430 -0.180116 -0.1 -0.2 0.3 0.1649
C -2.716575 2.456055 -1.456877 -0.4 -0.3 -0.1 -0.0437
O -2.385661 3.567854 -1.820088 0.2 0.3 -0.2 -0.7130
C -3.355999 1.488459 -2.454146 0.0 0.2 -0.2 0.6707
C -4.045968 0.223848 -1.917301 0.1 -0.1 -0.1 -1.3240
C -3.176682 -1.033133 -2.064373 0.1 0.0 0.2 -1.3006
C -1.714287 -0.715555 -1.766751 0.0 -0.3 -0.1 3.4460
C -0.865693 -1.987390 -1.678835 -0.5 0.1 0.1 -2.6898
N 0.486390 -1.681004 -1.224766 -0.1 -0.1 -0.1 0.5277
C 0.616678 -1.296799 0.097606 0.3 0.1 0.1 -0.0196
O -0.341861 -1.239994 0.847405 -0.3 0.0 0.2 -0.6658
N 1.868289 -0.975710 0.519098 0.0 0.1 0.3 0.4169
C 2.983706 -1.020968 -0.276219 0.2 -0.2 -0.6 0.2745
C 4.238449 -0.673704 0.224139 0.0 0.0 0.0 -0.7384
C 5.341005 -0.737951 -0.600616 -0.1 0.0 0.0 -0.3928
C 5.215180 -1.143641 -1.926951 0.1 0.0 -0.1 -0.7155
C 3.978104 -1.483066 -2.428098 -0.1 0.0 0.1 -0.5236
C 2.849846 -1.425160 -1.608731 0.4 0.1 0.2 0.2393
C 1.530919 -1.774926 -2.138882 0.1 0.0 -0.1 1.0302
O 1.329266 -2.123837 -3.283363 0.1 0.0 -0.1 -0.6967
C -1.159220 0.267407 -2.809858 -0.1 0.0 0.0 -0.6155
C -2.265706 1.099125 -3.464520 0.1 0.2 0.1 -1.6356
C -0.239759 2.365798 0.621330 0.1 0.2 0.2 0.6959
C 0.438394 2.316980 1.984100 0.3 0.1 -0.3 -1.5281
H -1.494222 -2.975123 4.011328 -0.1 -0.1 0.0 0.2866
H -0.369163 -2.748615 2.672442 0.0 -0.1 -0.1 0.0141
H 0.048916 -3.845477 4.004761 0.0 -0.1 0.1 0.3879
H 0.031144 -1.810420 5.555299 0.1 0.1 -0.1 0.3689
H 1.298291 -1.741612 4.298419 -0.2 0.0 0.1 0.3079
H -2.037453 0.459190 2.308228 -0.1 0.0 0.0 0.2537
H -2.031516 1.287609 3.870116 -0.1 0.0 -0.2 0.4920
H -1.919997 3.485123 2.774920 0.0 0.0 0.0 0.4177
H -3.310466 2.585670 2.179606 0.0 0.1 0.0 0.4308
H -1.824083 3.845375 0.445030 0.0 -0.2 0.1 0.4043
H -2.718838 1.084511 0.067705 -0.1 0.1 -0.1 0.2691
H -4.092426 2.100303 -2.986269 0.1 0.0 0.1 0.6363
H -4.337979 0.359179 -0.873936 -0.1 0.0 0.0 0.3416
H -4.970785 0.067766 -2.476327 0.0 0.1 0.1 0.4103
H -3.256852 -1.429281 -3.077696 0.0 -0.1 -0.1 0.3236
H -3.538347 -1.805032 -1.382052 0.0 -0.1 0.0 0.4562
H -1.668884 -0.262635 -0.774604 0.0 -0.1 -0.1 -1.2245
H -1.313383 -2.679297 -0.959715 0.1 0.0 -0.1 0.2314
H -0.773709 -2.471740 -2.652027 0.0 0.1 0.1 0.5461
H 1.949363 -0.649487 1.490558 -0.2 0.0 -0.2 0.0948
H 4.323651 -0.360431 1.253543 0.0 0.0 0.1 0.5123
H 6.312561 -0.470587 -0.212906 0.1 0.0 0.1 0.4152
H 6.087727 -1.189725 -2.559780 0.1 0.0 -0.1 0.3996
H 3.846081 -1.798261 -3.451620 0.0 0.0 -0.1 0.4983
H -0.437510 0.936806 -2.335157 0.1 0.0 0.0 0.2229
H -0.626953 -0.283769 -3.587469 0.1 0.0 0.0 0.4489
H -1.836462 2.005649 -3.892302 -0.1 0.0 -0.1 0.5657
H -2.730003 0.535065 -4.274694 0.0 0.0 0.0 0.4490
H 0.296376 3.039241 -0.046233 0.0 0.0 -0.1 0.4801
H -0.199182 1.363365 0.190797 0.0 0.0 0.0 -0.5283
H 1.481543 2.009640 1.889555 -0.2 0.1 0.0 0.5775
H 0.409988 3.300126 2.465495 0.1 0.0 0.0 0.3304

* * * * *

(1)
DFT (wB97M-V/def2-TZVPD) results for a molecular structure, C15H37IrN5S2Si2 at a distorted geometry.

XYZ file:
```
62
Properties=species:S:1:pos:R:3:nbo_charge:R:1
Ir -0.1313 0.6511 0.4078 0.780
N 2.2120 0.0696 0.1769 -0.804
C 2.8416 -0.7794 1.2011 -0.234
C 2.8687 -0.1040 2.5707 -0.422
C 1.5156 0.0167 3.2694 -0.230
N 0.6329 0.9955 2.6210 -0.762
H 2.3123 -0.3714 -0.7349 0.411
H 2.7135 0.9558 0.1337 0.392
H 3.8801 -1.0135 0.9229 0.214